Can you spot statistically significant differences in your data?
5/16/14 / Matt Bruce

Try this fun exercise to pick out 5 visible differences. Spotting statistically significant differences in large data sets isn’t as simple, but our staff people are experts at rigorously applying these tests.
Making data-driven strategic decisions frequently involves understanding differences. For example, are there differences in public opinion, demographics, or the way people behave? Are there differences among groups of people, between two points in time, or differences from one program to another? Many of our clients ask for help measuring differences and sparking insights from the results. Using data to understand key differences can help leaders make smart strategic decisions, such as identifying their target audience or determining which programs are most effective.
Materials data from another source follow:
____________
This record from Alexandria via LeMat-Bulk describes a geometry-optimized Rb3Ag2Br2Cl4 structure. The functional is PBE-GGA.

abc: 14.3968 14.3968 14.3968
angles: 159.69 159.69 28.87
With the nearest neighbours (Å) after each atom.
Positions (direct):
Rb  0.0000  0.0000  0.0000  8 Cl 3.38
Rb  0.1787  0.1787  0.0000  5 Br 3.50-3.62, 4 Cl 3.74
Rb  0.8213  0.8213  0.0000  5 Br 3.50-3.62, 4 Cl 3.74
Ag  0.4042  0.4042  0.0000  4 Cl 2.58, 1 Br 2.79
Ag  0.5958  0.5958  0.0000  4 Cl 2.58, 1 Br 2.79
Br  0.3042  0.3042  0.0000  1 Ag 2.79
Br  0.6958  0.6958  0.0000  1 Ag 2.79
Cl  0.0800  0.5800  0.5000  2 Ag 2.58
Cl  0.4200  0.9200  0.5000  2 Ag 2.58
Cl  0.5800  0.0800  0.5000  2 Ag 2.58
Cl  0.9200  0.4200  0.5000  2 Ag 2.58

Output
Fermi-level density of states in states/eV/f.u.: 5.00
Raw formation energy in eV/atom: -1.219

=====

This record from Alexandria via LeMat-Bulk describes a geometry-optimized AcInSn2Pd structure. The functional is PBE-GGA.

abc: 6.6128 6.6128 6.6128
angles: 137.40 136.34 62.64
With the nearest neighbours (Å) after each atom.
Positions (direct):
Ac  0.0000  0.0000  0.0000  8 Sn 3.56-3.78, 4 In 3.71-3.74, 5 Pd 3.84-3.95
In  0.2508  0.7508  0.5000  2 Pd 2.71
Sn  0.4191  0.4191  0.0000  1 Pd 2.61
Sn  0.7546  0.2546  0.5000  2 Pd 2.67
Pd  0.6505  0.6505  0.0000  3 Sn 2.61-2.67, 2 In 2.71

Output
Fermi-level density of states in states/eV/f.u.: 2.41
DFT formation energy in eV per atom: -0.62

=====

This record from Alexandria via LeMat-Bulk describes a geometry-optimized ReAgSe2O structure. The functional is PBE-GGA.

abc: 5.0510 5.0510 3.6881
angles: 90.00 90.00 90.00
With the nearest neighbours (Å) after each atom.
Positions (direct):
Re  0.0000  0.0000  0.0000  2 O 1.84
Ag  0.5000  0.5000  0.0000  8 Se 3.13
Se  0.0000  0.5000  0.5000  2 O 2.53
Se  0.5000  0.0000  0.5000  2 O 2.53
O  0.0000  0.0000  0.5000  2 Re 1.84

Output
Fermi-level density of states in states/eV/f.u.: 5.43
Raw formation energy in eV/atom: 0.607

=====

This record from Alexandria via LeMat-Bulk describes a geometry-optimized Be3Ni2Ir structure. The functional is PBE-GGA.

abc: 6.0364 6.0364 5.3358
angles: 90.00 90.00 143.15
With the nearest neighbours (Å) after each atom.
Positions (direct):
Be  0.0000  0.0000  0.2435  6 Ni 2.29-2.35, 2 Ir 2.30
Be  0.0000  0.0000  0.7565  6 Ni 2.29-2.35, 2 Ir 2.30
Be  0.3337  0.6663  0.2429  5 Ni 2.30-2.35, 3 Ir 2.35-2.40
Be  0.3337  0.6663  0.7571  5 Ni 2.30-2.35, 3 Ir 2.35-2.40
Be  0.6663  0.3337  0.2429  5 Ni 2.30-2.35, 3 Ir 2.35-2.40
Be  0.6663  0.3337  0.7571  5 Ni 2.30-2.35, 3 Ir 2.35-2.40
Ni  0.1644  0.8356  0.0000  8 Be 2.29-2.33
Ni  0.5000  0.5000  0.0000  8 Be 2.30-2.31
Ni  0.5000  0.5000  0.5000  8 Be 2.35
Ni  0.8356  0.1644  0.0000  8 Be 2.29-2.33
Ir  0.1619  0.8381  0.5000  8 Be 2.30-2.40
Ir  0.8381  0.1619  0.5000  8 Be 2.30-2.40

Output
Fermi-level density of states in states/eV/f.u.: 1.64
DFT formation energy in eV per atom: -0.53

=====
____________
Although it might seem easy to measure and understand a difference, the reality is that most questions are complicated and datasets are often incomplete. For practical and budget reasons, we frequently need to answer questions about differences with data collected from a small sub-sample of the whole group. There is a suite of mathematical procedures that can help determine if the differences between two sub-samples is statistically significant, and our staff are experts at rigorously applying these tests. However, we are always mindful that the most important question in research is not whether a result is statistically significant, but rather if it is meaningful and useful. Statistical tests can help inform, but should not replace, strategic decision-making.
**Misplaced data records**
=====
Here is a relaxed NdDyTe2As2 crystal from OQMD via LeMat-Bulk. Energies are from PBE-GGA.

a = 4.123 Å, b = 4.123 Å, c = 9.206 Å
α = 90.00°, β = 90.00°, γ = 90.00°
Space group P4mm (No. 99)
Asymmetric unit:
Nd  0.000  0.000  0.000 (multiplicity 1)
Dy  0.500  0.500  0.492 (multiplicity 1)
Te  0.000  0.000  0.377 (multiplicity 1)
Te  0.500  0.500  0.128 (multiplicity 1)
As  0.000  0.500  0.741 (multiplicity 2)

Output
The value obtained for the final energy is -5.315 eV per atom.


Below is a relaxed Pm2Pr2Er3 crystal, with properties calculated at the PBE level.

For the formation energy, the calculation gives 0.19 eV per atom. The calculation puts the total energy at -4.491 eV per atom.

The structure belongs to space group P2_1/c (No. 14); the cell edges are 6.405, 11.558 and 6.440 Å and the angles 90.00°, 95.99° and 90.00°. Symmetry generates all atoms from Pm at (0.107, 0.222, 0.281), Pr at (0.459, 0.651, 0.538), Er at (0.000, 0.000, 0.000) and Er at (0.256, 0.541, 0.041).


# Ba3MgMn2O6 PBE with a Hubbard U relaxed
data_Ba3MgMn2O6
_cell_length_a 6.058
_cell_length_b 6.058
_cell_length_c 6.814
_cell_angle_alpha 90.00
_cell_angle_beta 90.00
_cell_angle_gamma 120.00
_space_group_name_H-M_alt 'P 1'
_space_group_IT_number 1
loop_
_space_group_symop_operation_xyz
'x,y,z'
loop_
_atom_site_label
_atom_site_fract_x
_atom_site_fract_y
_atom_site_fract_z
Ba1 0.000 0.000 0.000
Ba2 0.333 0.667 0.638
Ba3 0.667 0.333 0.362
Mg1 0.000 0.000 0.500
Mn1 0.333 0.667 0.189
Mn2 0.667 0.333 0.811
O1 0.165 0.329 0.308
O2 0.165 0.835 0.308
O3 0.329 0.165 0.692
O4 0.671 0.835 0.308
O5 0.835 0.165 0.692
O6 0.835 0.671 0.692
# - calculated total energy (eV per cell) = -76.2
# - volume (Å³/cell) = 216.6
# - space group = P-3m1
# - theoretical density (g cm⁻³) = 4.92


Entry 1:
Material: CdI2
Method: DFT, GGA-PBE
State: optimized geometry

Cell lengths 4.2901, 4.2901, 125.5292 Å; angles 90.00, 90.00, 120.00 degrees
Space group R-3m (No. 166, hexagonal axes)
Symmetry-distinct sites (fractional):
Cd 0.0000 0.0000 0.0000 (multiplicity 3)
Cd 0.0000 0.0000 0.1111 (multiplicity 6)
Cd 0.0000 0.0000 0.3889 (multiplicity 6)
Cd 0.0000 0.0000 0.5000 (multiplicity 3)
I 0.0000 0.0000 0.0418 (multiplicity 6)
I 0.0000 0.0000 0.1529 (multiplicity 6)
I 0.0000 0.0000 0.2085 (multiplicity 6)
I 0.0000 0.0000 0.2640 (multiplicity 6)
I 0.0000 0.0000 0.3196 (multiplicity 6)
I 0.0000 0.0000 0.4307 (multiplicity 6)

Summary:
**DFT total energy**: -102.57 eV for the cell shown

Entry 2:
Material: CdI2
Method: DFT, GGA-PBE
State: optimized geometry

Cell lengths 4.2895, 4.2895, 83.0303 Å; angles 90.00, 90.00, 120.00 degrees
Space group R-3m (No. 166, hexagonal axes)
Symmetry-distinct sites (fractional):
Cd 0.0000 0.0000 0.0417 (multiplicity 6)
Cd 0.0000 0.0000 0.4583 (multiplicity 6)
I 0.0000 0.0000 0.1041 (multiplicity 6)
I 0.0000 0.0000 0.1874 (multiplicity 6)
I 0.0000 0.0000 0.2708 (multiplicity 6)
I 0.0000 0.0000 0.3541 (multiplicity 6)

Summary:
=====
Several research project elements contribute towards the likelihood of finding a statistically significant result. First, vary large sample sizes are usually statistically different from one another, even if the difference is trivial. For example, a $50 difference in annual income between two groups of people might be statistically significant, but it is unwise to make a strategic decision based on the outcome of this one test, considering the difference of $50 per year is practically insignificant. Second, the variety of answers that survey respondents provide will influence the results of statistical tests. A lot of variation or a few outliers (data that is very different from the average, such as one player scoring 100 points in one basketball game) can produce results that are not statistically significant, even if there is a clear and practical difference. Last but not least, statistical tests are defined by a level of confidence that is arbitrarily set by the researcher. While industry standards exist, in the real world there is no practical difference between two finding that are just above and below this arbitrary significance level.
The Corona staff is capable of applying advanced statistical tests to help reveal differences in opinions and behavior, but we also use critical thinking, real-world experience, and common sense to help our clients illuminate the insights they need to make truly strategic decisions.